I knew of an elder who was pushing 35 and was just moving out of his mother's house. He was taking the lead in our congregation, probably counseling other families on how they should live and didn't even know how to run a household himself. Somehow, he was able to find a sister to marry. I think he got engaged right before I faded.
JoinedPosts by NoviceLocs14
Jw mummies boys
by purrpurr ini've had the misfortune to encounter quite a few mummies boys in the cult.
men aged 20-40 who although in men's bodies think,act and behave like children.
their mother's had them tied to the apron strings tightly.
JW Kids Bullying My Daughter
by pale.emperor intrying not to type swearwords as i write this so bare with me.. my little 3yo attends meetings with her jw mum (who doesn't believe watchtower anymore but is stuck in because she relies on her family for help).
my mum (the one who tells people im dead) had a party for her grandchildren.
that's my 4 nieces and 1 nephew aged from 3yo-11yo.
My blood is boiling after reading this. I don't believe in disrespecting anyone's mother, so I won't talk about how evil one has be to shun her own preschool aged granddaughter just because her parent doesn't believe in a certain belief system anymore.
This is why I didn't even bother informing my own mother about the birth of my daughter. She chose to shun me after I disassociated. I know my mother, and I knew for sure she would take that out on her innocent grandchild. So I chose to spare my child from that poisonous environment. I know some may not agree with my choice, but it's what I chose to do.
I wish nothing but good vibes to you and your precious little girl.
I went Elder Hunting yesterday!
by Tight Pants Twinkle Toes inwin my first post i introduced you to tweedle dee and tweedle dum, ( surprise elders visit ).
well last sunday night i got phone call from t- dum, he informed me that t-dee was listening in, no doubt practicing his short hand.
t-dum went on to say how he was concerned that we were making the biggest mistake of our lives, yada yada.
Am I selfish?
by Jules Saturn intonight i had an argument with both my parents.
my parents are aware of my feelings towards the organization, and it saddens them because i am their first born son.
they had high expectations of me, my father dreamt of him and i serving together as elders.
Sharing the sentiments with everyone else. You're not being selfish at all. But I can relate with the feelings of guilt. That can take awhile to get over, but being free is worth it.
The REAL Reason I Stopped Going to Meetings
by NoviceLocs14 into sum it up in all one word...pride.. i've always kind of attributed my subconscious "fade" to shame for living a double life by dating my non-jw boyfriend (now husband) while serving as a pioneer in the foreign language field.
but i was actually pretty regular for awhile.. my pioneer hours did start to dwindle, however.
i had always struggled with the hourly requirement, but i was really struggling now.
@scratchme1010 yeah, there are times I do get mad as hell for how I was treated. I wish I could've had the strength to stand up for myself back then and tell them to buzz off. I'm slowly working on being more assertive, but I must admit it is taking awhile for that "JW meekness" to wear off.
Who Is The Most Unlike-Able Member Of The Governing Body?
by pale.emperor invote here: https://goo.gl/hynuaz.
results will be here: https://goo.gl/xsxm2j.
I wanted to be different, so I voted for Sam Heard. Tony the Turd gives us a lot of comedic material, so I like him for that. But between Heard's humdrum voice, his imagined "appeal" and his disrespect for women, he takes the cake for me.
The REAL Reason I Stopped Going to Meetings
by NoviceLocs14 into sum it up in all one word...pride.. i've always kind of attributed my subconscious "fade" to shame for living a double life by dating my non-jw boyfriend (now husband) while serving as a pioneer in the foreign language field.
but i was actually pretty regular for awhile.. my pioneer hours did start to dwindle, however.
i had always struggled with the hourly requirement, but i was really struggling now.
[Attached: data records]
-- begin --
{"formula": "C2H3NO2S", "method": "the ωB97M-V functional and the def2-TZVPD basis", "symbols": ["S", "O", "O", "N", "C", "C", "H", "H", "H"], "coordinates": [[0.766, -0.107, -2.032], [-1.139, -0.466, 1.688], [0.303, 0.162, 3.355], [-0.766, 0.416, -1.596], [1.379, -0.095, -0.563], [-0.404, -0.150, 2.537], [-1.679, 0.034, -2.051], [-0.863, 0.303, -0.649], [2.401, -0.096, -0.689]], "forces_ev_per_angstrom": [[-0.661, 0.345, 0.626], [0.087, 0.067, 0.347], [2.284, 0.977, 2.701], [-3.247, -0.467, -4.192], [-1.327, 0.265, 0.145], [-2.407, -1.044, -3.128], [2.562, 0.633, 0.549], [-0.067, -0.193, 3.029], [2.777, -0.582, -0.077]], "nbo_charge": [0.713, -0.547, -0.491, -1.015, -0.626, 1.038, 0.383, 0.392, 0.152], "orbital_gap_ev": 9.3, "largest_force_ev_per_a": 5.3, "multiplicity": 1, "relative_energy_kj_mol": 289.9}

=====

{"formula": "C2H3NO2S2", "method": "the ωB97M-V functional and the def2-TZVPD basis", "symbols": ["S", "S", "O", "O", "N", "C", "C", "H", "H", "H"], "coordinates": [[2.107, -0.349, 0.065], [0.850, 1.699, 0.870], [1.008, -0.838, -0.752], [2.444, -1.131, 1.209], [-1.927, -0.397, 0.206], [-0.125, 1.627, -0.365], [-1.869, -1.548, 0.184], [-1.707, -2.573, 0.260], [-1.067, 2.149, -0.375], [0.286, 1.360, -1.303]], "forces_ev_per_angstrom": [[0.774, -0.716, -2.114], [-0.074, 0.527, 1.996], [0.395, -0.058, 0.340], [-0.191, -0.254, 1.054], [-0.288, -1.264, -0.178], [-0.285, 1.689, -0.443], [0.119, 2.414, 0.253], [0.052, -1.157, -0.085], [-0.374, -0.173, 0.111], [-0.129, -1.008, -0.933]], "nbo_charge": [1.599, 0.163, -0.934, -0.890, -0.347, -0.382, 0.131, 0.230, 0.218, 0.212], "orbital_gap_ev": 7.9, "largest_force_ev_per_a": 2.4, "multiplicity": 1, "relative_energy_kj_mol": 247.0}

=====

{"formula": "C2H3NO3", "method": "the ωB97M-V functional and the def2-TZVPD basis", "symbols": ["O", "O", "O", "N", "C", "C", "H", "H", "H"], "coordinates": [[0.928, 0.080, 1.178], [-1.268, 0.351, 0.762], [0.444, 0.919, -0.981], [-0.207, -2.182, -1.185], [-0.080, -1.340, -0.380], [-0.085, -0.115, 0.371], [1.643, 0.261, 0.400], [-1.235, 0.921, 1.603], [-0.140, 1.106, -1.768]], "forces_ev_per_angstrom": [[3.136, 0.732, -1.955], [-0.582, 0.167, 1.846], [-0.572, -0.785, 1.011], [0.533, 1.731, 2.270], [-1.359, -2.785, -2.972], [-0.706, 3.185, -2.497], [-1.423, -0.256, 2.698], [0.501, -1.191, -1.891], [0.473, -0.798, 1.490]], "nbo_charge": [-0.666, -0.649, -0.910, -0.234, 0.177, 0.731, 0.544, 0.521, 0.486], "orbital_gap_ev": 11.2, "largest_force_ev_per_a": 4.3, "multiplicity": 1, "relative_energy_kj_mol": 328.6}

=====
-- stop --
Lol now that was another story. After my "double life" unraveled, the elders went in full attack mode. Since they couldn't call me (because I changed my number), they bombarded me with messages in my emails and all my open social media accounts. Then they found out where I was working and called my new job several times a week. They refused my request to meet with elders in my area who I thought would be more objective to my situation. I ended up disassociating in the end (I wasn't too familiar with the process of fading until after the fact).
The REAL Reason I Stopped Going to Meetings
by NoviceLocs14 into sum it up in all one word...pride.. i've always kind of attributed my subconscious "fade" to shame for living a double life by dating my non-jw boyfriend (now husband) while serving as a pioneer in the foreign language field.
but i was actually pretty regular for awhile.. my pioneer hours did start to dwindle, however.
i had always struggled with the hourly requirement, but i was really struggling now.
To sum it up in all one word...PRIDE.
I've always kind of attributed my subconscious "fade" to shame for living a double life by dating my non-JW boyfriend (now husband) while serving as a pioneer in the foreign language field. But I was actually pretty regular for awhile.
My pioneer hours did start to dwindle, however. I had always struggled with the hourly requirement, but I was really struggling now. I had taken to "fudging" hours on my time report, but I made sure even those hours were less than the required hours, since I didn't want anyone becoming suspicious lol.
The elders finally said they had to meet with me. I agreed to meet them at the Kingdom Hall. When I got there, there were 3 elders standing in front of me. I inwardly started freaking out because I thought my double life had caught up with me. Then mysteriously, they dismissed the third elder and took me in the back room. They pretty much told me that I should probably come off the pioneer list. I agreed, kind of relieved they made that decision for me.
Until I realized that they were going to announce that I was stepping down as a pioneer at the meeting in front of the entire congregation. I had never had my name announced on the podium for anything other than good news, so an announcement like that and the subsequent judging from my so called brothers and sisters mortified me.
So I decided to avoid the humiliation altogether by not going to the meetings, especially since I didn't know which meeting they were going to make the announcement.
So I guess you could say pride and fear of humiliation led to my unknowing fade...
To Fade or Disassociate
by Jules Saturn inhello to all, so i did want to talk about this topic because i think it is very important to me.
i have a grandfather who faded several decades ago.
he occasionally attends an assembly and the memorial but no longer attends meetings or goes on field service.
I wasn't even familiar with the term fade until after I disassociated. Unfortunately, I was naive and still playing by the borg's rules, so I didn't realize that was an option. Plus I wanted to stop the harassment from the elders, who kept trying to meet with me. Of course, I don't have contact with most of my family, who considers it worse that I left of my own accord instead of allowing the arseholes to kick me out.
But I share dubstep's sentiments as well. I'm happy to not have the negativity in my life, and I was able to completely cut ties with the BS.
Had twin babies with a married JW?!?!?!?!?!?! advice & thoughts
by Gokumonkey inbefore i begin i just wanna say, im not proud of what i did, it was wrong but it happened now im just trying to do the right thing.. ok so im a "worldly" person and i meet a jw women at my job.
i had no idea she was married due to the fact that she hid her wedding ring.
i even ask if she was in a relationship and she denied it.
Lawyer up. This woman sounds manipulative. If you're in the US, she can sic the courts after you for child support whether or not you have visitation rights and/or are providing for the kids by giving her money directly. Once the courts get involved, it can get pretty ugly, and they tend to side with the custodial parent (typically the mother).